Friday, January 9, 2009

Between two parts of the entry: materials data:
=====
Simulated PXRD pattern
Compound: CrCd4F10
Radiation: λ = 1.5418 Å (Cu Kα)
Structure: a crystal structure in Alexandria, relaxed with GGA+U
Neutral-atom scattering factors, no anomalous dispersion.

Structure:
Cell: 15.408 15.408 15.408 Å, 14.59 14.59 14.59°
Fractional positions:
Cr: 0.000 0.000 0.000
Cd: 0.201 0.201 0.201
Cd: 0.397 0.397 0.397
Cd: 0.603 0.603 0.603
Cd: 0.799 0.799 0.799
F: 0.045 0.045 0.045
F: 0.149 0.149 0.149
F: 0.253 0.253 0.253
F: 0.348 0.348 0.348
F: 0.449 0.449 0.449
F: 0.551 0.551 0.551
F: 0.652 0.652 0.652
F: 0.747 0.747 0.747
F: 0.851 0.851 0.851
F: 0.955 0.955 0.955

Peak list (6 most intense, 2θ = 10–90°, by angle)
| d (Å) | 2θ/deg | I (rel.) |
| --- | --- | --- |
| 3.177 | 28.09 | 100 |
| 3.048 | 29.30 | 29 |
| 2.722 | 32.90 | 24 |
| 1.956 | 46.43 | 45 |
| 1.895 | 48.01 | 38 |
| 1.646 | 55.85 | 26 |

~~~~~

[1]
LiMg3: theoretical XRD peak list (λ = 1.5418 Å (Cu Kα)), based on DFT lattice parameters and positions (GGA-PBE).
Intensities are scaled so that the largest is 100.

Atomic structure:
Cell: 7.040 7.040 7.040 Å, 90.00 90.00 90.00°
Space group Fm-3m (No. 225)
Asymmetric unit:
1 Li 0.000 0.000 0.000 x4
2 Mg 0.000 0.000 0.500 x4
3 Mg 0.250 0.250 0.250 x8

Principal peaks in the range 2θ from 10° to 80°, in order of rising 2θ:
| 2θ (°) | Rel. int. | index |
| --- | --- | --- |
| 21.87 | 16 | 1 1 1 |
| 25.30 | 8 | 2 0 0 |
| 36.08 | 100 | 2 2 0 |
| 51.95 | 17 | 4 0 0 |
| 64.88 | 33 | 4 2 2 |
| 76.55 | 10 | 4 4 0 |

---

[2]
SrBr2O7: theoretical XRD peak list (λ = 1.5418 Å (Cu Kα)), based on DFT lattice parameters and positions (GGA-PBE).
Intensities are scaled so that the largest is 100.

Atomic structure:
Cell: 12.390 7.861 8.665 Å, 90.00 130.25 90.00°
Space group C2/c (No. 15)
Asymmetric unit:
1 Sr 0.000 0.159 0.250 x4
2 Br 0.193 0.480 0.700 x8
3 O 0.000 0.180 0.750 x4
4 O 0.096 0.339 0.107 x8
5 O 0.138 0.046 0.625 x8
6 O 0.193 0.409 0.516 x8

Principal peaks in the range 2θ from 10° to 80°, in order of rising 2θ:
| 2θ (°) | Rel. int. | index |
| --- | --- | --- |
| 15.23 | 74 | 1 1 -1 |
| 26.96 | 66 | 0 0 2 |
| 28.94 | 62 | 4 0 -2 |
| 29.55 | 89 | 2 2 0 |
| 30.56 | 92 | 3 1 0 |
| 30.75 | 100 | 2 2 -2 |

---

[3]
Sr2Mg: theoretical XRD peak list (λ = 1.5418 Å (Cu Kα)), based on DFT lattice parameters and positions (GGA-PBE).
Intensities are scaled so that the largest is 100.

Atomic structure:
Cell: 4.232 4.232 14.298 Å, 90.00 90.00 90.00°
Space group I4/mmm (No. 139)
Asymmetric unit:
1 Sr 0.000 0.000 0.143 x4
2 Mg 0.000 0.000 0.500 x2

Principal peaks in the range 2θ from 10° to 80°, in order of rising 2θ:
| 2θ (°) | Rel. int. | index |
| --- | --- | --- |
| 21.91 | 38 | 1 0 1 |
| 28.20 | 100 | 1 0 3 |
| 29.86 | 52 | 1 1 0 |
| 39.27 | 21 | 1 1 4 |
| 42.74 | 19 | 2 0 0 |
| 51.99 | 35 | 2 1 3 |

---

[4]
Te2Mo3WS6: theoretical XRD peak list (λ = 1.5418 Å (Cu Kα)), based on DFT lattice parameters and positions (GGA-PBE).
Intensities are scaled so that the largest is 100.

Atomic structure:
=====

Two steps forward, one step back

Phew! It seems like we are just seeming to get the hang of life here when we go out of town for a bit or somebody gets sick or something else happens that throws us out of routine and it takes a week to get back on track and all of the toys picked up. I've just decided, though, that this move has been more difficult than I ever imagined. Not only did we relocate ourselves to a new city (necesitating learning new roads, grocery stores, finding doctors, insurance, dentists, etc) but we moved into a different living situation (no basement or yard to escape to if we feed the need:) It has forced changes in our lives (changes for the better) and a reevaluation of old habits. I am becoming a bit better at executive functioning (time management, organization, orderliness), but I am sometimes amazed at how I made it through college (I guess I wasn't in charge of 3 kids then), but I have absolutely no idea how I made it through 2 semesters of grad school with three kids! -- the grace of God, fo' sure. Life goes on and I just take one day at a time. I'm learning to focus on relationships over things that need to be done and I am amazed at what a difference it makes (eg. if I play play-doh with the girls instead of trying to get some housework done while they are occuppied, then I don't get so annoyed about cleaning it up afterwards:) And, I've discovered that it is kind of fun to sculpt.)

But, it is weird, too, to ponder this life that we lead. I've been reading the 5th book by Laura Ingalls Wilder to Mariah and it just blows me away how different my life is from their's. It takes months for me to pack up and move and unpack whereas they can move in a day! They have very good executive functions (time management, etc). because their life depends on it -- if they don't do the chores or plant the garden, they will not survive. And here I sit, with a furnace running, no twisting of hay or cutting of wood to stay warm, Mike playing the Wii guitar, and a load of diapers drying in the dryer. And I think that my life is is in different ways, I is not so much a fight for physical survival, but a fight for mental and spiritual peace as the pace of life in these times can be out of control.

Enough pondering for tonight....if you've read this far, you get to enjoy some pictures.

Mariah's class studied defenses and disguises of animals at school -- for the required project, she chose to research the coyote and part of the project was to build a model. With Mike's help, she built it out of legos and covered it with construction paper. Here she is telling the class all she knows.....
A random picture in Minnesota this summer of when Mike had the engine out of the explorer before we sold it...I am amazed at his bravery! He just fixed some stuff related to the CV Joint on our van and it just blows me away! He's sometimes a bit nervous driving it for the next few days, :) but so far all of his work has been sound

A photo from Rachel's first birthday last summer....

Hm....what are those things that look like Russian stacking dolls???

Just Mariah and Allison in their new cozy sleeping bags (in our house in Minnesota this past summer).